Springtime For Michael in Florida!

(Sung to the tune of "Springtime for Hitler" from the hilarious movie/play/movie-remake "The Producers")

Ah Spring!

When I lived up north, the physical and psychological impact and importance of spring was much more powerful indeed. It would be like a magical transformation. I marveled every year about the fact that the entire outdoor environment would suddenly, seemingly in the course of one week, change from the smells of decay and detrius to sweet flowers and seabreezes. From the feel of bitter frost and chafing dryness to glowing warmth and gentle mists. From the sounds of wearily whistling winds and lonely train whistles off in the distance in the dark to happily chirping birds and gleeful children at-play laughing in the sunshine. From the colors of grey, brown, white and black to green, yellow, purple and baby blue.

This transformation occurs on a much more subtle level here though. The landscape goes from a dull green to a vivid green. The buzzing of the lawn mowers and hedge trimmers increases in frequency from one every other week to every week and for longer durations. The temperature rises from the 70's to the 80's. And instead of live oak and mature ragweed pollen we have grass and flowering annuals pollen. (good for me since I'm allergic to the dry forms of the former but not the latter in any humidity level)

Alright, enough about the changes due to nature...lets get to talking about the nature of the changes...the changes in my life, that is.

As you know I am working now, at the software company. I am doing customer care for users of the company's software. The customers calling in are mainly business (less kooky calls) and relatively (from what I can garner from training so far) quick and easy solutions to their companies update needs for backup software solutions for their servers and clients. Any issues more involved than a few minutes resolution will likely need to be forwarded to another department for completion. Simple, huh?

Well, I hope so.

**Between two parts of the piece: records of crystals**
/*
(1)
Computed powder diffraction line list of Pm2Sm4Y for Cu Ka, from a crystal structure in Alexandria, relaxed with GGA-PBE.

Crystal structure
```
14
Lattice="15.8400 0.0000 0.0000 0.0000 3.6229 0.0000 -3.3422 0.0000 8.2319" Properties=species:S:1:pos:R:3 pbc="T T T"
Pm 2.9137 0.0000 1.1720
Pm 1.6641 1.8114 7.0599
Pm 10.8337 1.8114 1.1720
Pm 9.5841 0.0000 7.0599
Sm -1.2606 0.0000 5.8785
Sm 0.8278 1.8114 3.5258
Sm 3.7500 0.0000 4.7061
Sm 5.8385 1.8114 2.3534
Sm 6.6593 1.8114 5.8785
Sm 8.7478 0.0000 3.5258
Sm 11.6700 1.8114 4.7061
Sm 13.7584 0.0000 2.3534
Y 0.0000 1.8114 0.0000
Y 7.9200 0.0000 0.0000
```

Largest 8 diffraction maxima, most intense first, 2θ = 10–90°:
2θ/deg  I/Imax
30.2  100
50.3  36
35.0  34
59.8  29
34.9  17
59.7  14
81.8  12
62.8  9


(2)
Computed powder diffraction line list of Pm12Sm5Y for Cu Ka, from a crystal structure in Alexandria, relaxed with GGA-PBE.

Crystal structure
```
18
Lattice="10.5610 0.0000 0.0000 0.0000 5.7619 0.0000 -3.5950 0.0000 10.0462" Properties=species:S:1:pos:R:3 pbc="T T T"
Pm -0.5921 0.0000 1.6705
Pm 1.5642 2.8809 0.5636
Pm -0.8285 2.8809 7.2512
Pm 0.6995 0.0000 7.7949
Pm 1.9141 0.0000 4.4627
Pm 4.0752 2.8809 3.3481
Pm 2.8908 2.8809 6.6981
Pm 5.0519 0.0000 5.5835
Pm 6.2665 0.0000 2.2513
Pm 7.7945 2.8809 2.7951
Pm 5.4018 2.8809 9.4826
Pm 7.5582 0.0000 8.3758
Sm 0.3353 2.8809 3.9178
Sm 3.1504 0.0000 1.1150
Sm 5.2805 2.8809 0.0000
Sm 3.8157 0.0000 8.9312
Sm 6.6308 2.8809 6.1285
Y -1.7975 0.0000 5.0231
```

Largest 8 diffraction maxima, most intense first, 2θ = 10–90°:
2θ/deg  I/Imax
31.1  100
30.9  88
44.4  33
61.3  29
55.3  25
55.2  23
78.8  9
40.4  9


(3)
Computed powder diffraction line list of Pm4Sm5Y4 for Cu Ka, from a crystal structure in Alexandria, relaxed with GGA-PBE.

Crystal structure
```
13
Lattice="-6.5352 6.5352 2.5493 6.5352 -6.5352 2.5493 6.5352 6.5352 -2.5493" Properties=species:S:1:pos:R:3 pbc="T T T"
Pm 8.0510 1.0041 0.0000
Pm 1.0041 5.0195 0.0000
Pm 5.5311 1.5157 2.5493
Pm -1.5157 5.5311 2.5493
Sm 0.0000 0.0000 0.0000
Sm 6.0242 4.0332 0.0000
Sm 2.5020 -0.5110 2.5493
Sm 4.0332 7.0463 0.0000
Sm 0.5110 2.5020 2.5493
Y 3.0181 2.0095 0.0000
Y 4.5258 -3.5172 2.5493
Y 2.0095 10.0524 0.0000
Y 3.5172 4.5258 2.5493
```

Largest 8 diffraction maxima, most intense first, 2θ = 10–90°:
2θ/deg  I/Imax
30.3  100
35.0  34
59.9  29
50.5  24
35.2  17
60.1  14
62.9  12
50.3  12


(4)
Computed powder diffraction line list of Pm8Sm6Y for Cu Ka, from a crystal structure in Alexandria, relaxed with GGA-PBE.

Crystal structure
```
15
Lattice="9.5066 0.0000 0.0000 -4.7533 8.2329 0.0000 0.0000 0.0000 6.6594" Properties=species:S:1:pos:R:3 pbc="T T T"
Pm -3.2675 6.1359 1.0776
Pm 1.0732 2.3352 1.0776
Pm 2.5590 0.2382 5.5818
Pm 0.0000 5.4886 0.7476
Pm 4.7533 2.7443 5.9118
Pm 2.1943 7.9947 1.0776
Pm 3.6801 5.8977 5.5818
Pm 8.0208 2.0970 5.5818
Sm -2.2917 5.3883 4.3801
Sm 1.2327 3.5541 4.3801
Sm 3.6943 0.7095 2.2793
Sm 1.0590 7.5235 4.3801
Sm 3.5206 4.6788 2.2793
Sm 7.0450 2.8446 2.2793
Y 0.0000 0.0000 3.3297
*/

But, here are the issues at hand so I in the future, and you in the present can analyze these as they present themselves:

[Records of crystals, as found in the file]
<<<
1.
Structure and computed powder X-ray diffraction pattern of NdMo6O12 (a DFT-relaxed cell (GGA+U, the Materials Project); CuKα).
Kinematic intensities with the Lorentz-polarization factor, no thermal factor.

Cell lengths 8.3609, 8.3609, 8.3609 Å; angles 105.84, 105.84, 117.01 degrees
Element x y z (fractional)
Nd  0.2075  0.2075  0.0000
Nd  0.7925  0.7925  0.0000
Mo  0.0023  0.1537  0.4760
Mo  0.1537  0.6777  0.1514
Mo  0.1842  0.6631  0.8473
Mo  0.3223  0.4736  0.4760
Mo  0.3369  0.1842  0.5211
Mo  0.4736  0.9977  0.1514
Mo  0.5264  0.0023  0.8486
Mo  0.6631  0.8158  0.4789
Mo  0.6777  0.5264  0.5240
Mo  0.8158  0.3369  0.1527
Mo  0.8463  0.3223  0.8486
Mo  0.9977  0.8463  0.5240
O  0.1234  0.1572  0.2807
O  0.1236  0.4975  0.2881
O  0.1572  0.8766  0.0338
O  0.1642  0.4602  0.9565
O  0.1639  0.4606  0.6246
O  0.1645  0.8764  0.3739
O  0.2077  0.1642  0.7040
O  0.2094  0.8355  0.7119
O  0.4602  0.5038  0.2960
O  0.4606  0.8361  0.2967
O  0.4962  0.7923  0.9565
O  0.4975  0.2094  0.3739
O  0.5025  0.7906  0.6261
O  0.5038  0.2077  0.0435
O  0.5394  0.1639  0.7033
O  0.5398  0.4962  0.7040
O  0.7906  0.1645  0.2881
O  0.7923  0.8358  0.2960
O  0.8355  0.1236  0.6261
O  0.8361  0.5394  0.3754
O  0.8358  0.5398  0.0435
O  0.8428  0.1234  0.9662
O  0.8764  0.5025  0.7119
O  0.8766  0.8428  0.7193

Peak list (6 most intense, 10° ≤ 2θ ≤ 80°, in order of rising 2θ)
5.041 Å, I = 41
3.565 Å, I = 34
3.188 Å, I = 100
2.446 Å, I = 87
1.873 Å, I = 80
1.729 Å, I = 30

***

2.
Structure and computed powder X-ray diffraction pattern of NdSbMo2O9 (a DFT-relaxed cell (GGA+U, the Materials Project); CuKα).
Kinematic intensities with the Lorentz-polarization factor, no thermal factor.

Cell lengths 9.9015, 9.9015, 11.0600 Å; angles 111.67, 111.67, 95.86 degrees
Element x y z (fractional)
Nd  0.1245  0.8755  0.7500
Nd  0.3255  0.6745  0.2500
Nd  0.6745  0.3255  0.7500
Nd  0.8755  0.1245  0.2500
Sb  0.3531  0.3781  0.4624
Sb  0.3781  0.3531  0.9624
Sb  0.6219  0.6469  0.0376
Sb  0.6469  0.6219  0.5376
Mo  0.0490  0.2591  0.0264
Mo  0.0606  0.4348  0.6953
Mo  0.2591  0.0490  0.5264
Mo  0.4348  0.0606  0.1953
Mo  0.5652  0.9394  0.8047
Mo  0.7409  0.9510  0.4736
Mo  0.9394  0.5652  0.3047
Mo  0.9510  0.7409  0.9736
O  0.0149  0.6931  0.4911
O  0.0508  0.2264  0.1763
O  0.0638  0.0956  0.9002
O  0.0883  0.5592  0.2507
O  0.0956  0.0638  0.4002
O  0.1241  0.7028  0.0618
O  0.1404  0.6181  0.7230
O  0.2129  0.3728  0.8011
O  0.2192  0.4035  0.0759
O  0.2264  0.0508  0.6763
O  0.2972  0.8759  0.4382
O  0.3069  0.9851  0.0089
O  0.3728  0.2129  0.3011
O  0.3819  0.8596  0.7770
O  0.4035  0.2192  0.5759
O  0.4242  0.5407  0.4020
O  0.4408  0.9117  0.2493
O  0.4593  0.5758  0.0980
O  0.5407  0.4242  0.9020
O  0.5592  0.0883  0.7507
O  0.5758  0.4593  0.5980
O  0.5965  0.7808  0.4241
O  0.6181  0.1404  0.2230
O  0.6272  0.7871  0.6989
O  0.6931  0.0149  0.9911
O  0.7028  0.1241  0.5618
O  0.7736  0.9492  0.3237
O  0.7808  0.5965  0.9241
O  0.7871  0.6272  0.1989
>>>
[So much for the records of crystals]

There are a few similarities to past personal experiences...some of which I've mentioned on this blog, others I haven't gotten to yet.

The training seemed poorly prepared and inadequately informed. The topics covered were either too brusk and assumptive, even on extremely technical aspects or slowed to a Down's Syndrome pace for intuitive concepts....shades of the cruise booking company posted about just 2 months ago.

The unit of the company in which I am employed is domined by women. (Not very unusual for customer service). And so far, EVERY, not just some, but EVERY supervisor I have met or been made aware of that will be over me (other than the CEO) is a woman. My history with women supervisors is less than desirable. I'm not being sexist...as a gay man I like to see the traditional "all boys club" barriers challenged and bested...but only if deserved. (Warning: Soapbox opinions follow regarding fair employment policies and the "PC"/ "minority-sensitive" environment of the modern workplace) In my experience, women are poorly qualified for management. This opinion is based on years of personal observation in a myriad of occupational fields and capacities. But, to be fair, I feel us fags also make poor managers (though not as bad as women). Here's why:
1) Too emotional: Every decision, small and large has roots in how the woman feels about the situation and the persons involved. Not always best in management.
2) Too ready to fly "off the cuff": Again, most likely as a result of the emotion involved, a woman manager is more likely to "jump to conclusions"...good or bad. Example: Already in this job I've seen our management level female trainer bark at and public humiliate and chastise a subordinate (Which in this case happened to be a male...but in my experience, they can be this way as readily with "their own", though with some it may be, subconsciously or consciously a "reverse-sexism" issue)
3) Indecisive...ummm, really!...To the point of virtually manic-depressive, bi-polar opposite positions on issues in seemingly illogical timespans: Okay, everyone has a change of heart, rethinks a decision and decides to change it. But women in management seem to be prone to not just a re-evaluation and minor revision of previous ideas, but entire destruction of a policy and reconstruction in an exactly opposite direction...with minutes notice. Reminds one of the mid-announcement changes in political and military allegiances in the Orwell novel "1984".
4) Dishonesty is the best policy: They are liars. They waddle around with their wide asses and expect you to open doors for them and offer seats to them if none are available. It is the "gentlemanly" thing to do after all. But if they for what ever reason have it in for you. They will sound so convincing to even the most skeptical listener that they were maligned by you. You, as a man, are immediately placed in a defensive role, simply because of the perceptions of male/female roles, regardless of position.

BTW, the woman=boss/me=subordinate BAD experiences are as follows:

Taunton Sporting Goods Store/Adele...1986
BVC/Linda and Leslie...1987
Cranston Center/Lynn...1988
Northern RIARC/Chris...1991-92
Northern RIARC/Jen...1993
SHIP/co-workers Kim, Latarsha(yes, the same HR rep mentioned in a previous post, but we came to an understanding over the years), Daphne, and Lynn...2000-02
CNM/(Carol) Tiffany...2006

This listing is not meant to minimize the issues I've had with male bosses over the years...because I have and in some cases may have been more problematic than female boss cases...but the above highlight the aspects of female management styles I have referenced in the above itemization. And, in some cases, then some.

Hopefully things will work out well for this female dominated environment I'm in this time.

One can only hope.